

Eating the vegetables alongside the meat

You may say, “It is inconvenient to be vegetarian!” If that is the case, then you can be expediently vegetarian. What does that mean?
When you dine out, the circumstances might prevent you from being purely vegetarian, so you do not need to request separate vegetarian food and clean utensils.
You can simply eat the vegetables alongside the meat—not the meat alongside the vegetables! Can you maintain your compassion?

專輯: Daily Dharma

標籤: #Buddha Recitation #Cultivating merits and wisdom #Giving #Prosperity #Upholding precepts #Vegetarianism



If you aspire to perfect your blessings and wisdom, you must follow the precepts. This applies equally to the desire to be rid of suffering. There are eighty-four thousand methods of cultivation in Buddhism, and all can be summarized thus: “Refrain from all wrongdoing and cultivate virtue.” This essence can be further condensed into a single word: “precepts.” So long as you give up lazy, unwholesome behavior and diligently cultivate virtue, you will certainly become both blessed and wise. With these qualities, others will respect you—how dignified you will be!

• Between two parts of the page: crystal structures:
- - -
[1]
Compound: KW3O9
Source: the Materials Project
Functional: r²SCAN
Structure: relaxed

space group = P6mm
calculated total energy = -244.29 eV for the cell shown

POSCAR file:
```
KW3O9
1.0
3.703 -6.414 0.000
3.703 6.414 0.000
0.000 0.000 3.820
K W O
1 3 9
direct
0.000 0.000 0.900 K
0.500 0.000 0.499 W
0.000 0.500 0.499 W
0.500 0.500 0.499 W
0.789 0.211 0.500 O
0.211 0.789 0.500 O
0.579 0.789 0.500 O
0.421 0.211 0.500 O
0.789 0.579 0.500 O
0.211 0.421 0.500 O
0.500 0.000 0.000 O
0.000 0.500 0.000 O
0.500 0.500 0.000 O
```



[2]
Compound: KW3O9
Source: the Materials Project
Functional: r²SCAN
Structure: relaxed

space group = P6_3mc
calculated total energy = -488.58 eV for the cell shown

POSCAR file:
```
KW3O9
1.0
6.407 3.699 -0.001
-6.407 3.699 -0.001
0.000 0.002 7.628
K W O
2 6 18
direct
0.000 0.000 0.733 K
0.000 0.000 0.233 K
0.000 0.500 0.500 W
0.000 0.500 0.000 W
0.500 0.500 0.500 W
0.500 0.500 0.000 W
0.500 0.000 0.000 W
0.500 0.000 0.500 W
0.986 0.492 0.250 O
0.789 0.210 0.991 O
0.789 0.210 0.509 O
0.789 0.579 0.509 O
0.507 0.014 0.250 O
0.789 0.579 0.992 O
0.420 0.210 0.992 O
0.421 0.210 0.509 O
0.507 0.493 0.250 O
0.493 0.507 0.750 O
0.579 0.789 0.009 O
0.579 0.789 0.492 O
0.210 0.420 0.492 O
0.492 0.986 0.750 O
0.210 0.421 0.009 O
0.210 0.789 0.009 O
0.210 0.789 0.491 O
0.014 0.507 0.750 O
```



[3]
Compound: K4WO5
Source: the Materials Project
Functional: r²SCAN
Structure: relaxed

space group = P-1
calculated total energy = -759.05 eV for the cell shown

POSCAR file:
```
K4WO5
1.0
-5.021 -2.092 3.113
6.356 -0.088 7.987
-4.484 16.155 2.122
K W O
24 6 30
direct
0.442 0.420 0.083 K
0.558 0.580 0.917 K
0.730 0.537 0.558 K
0.270 0.463 0.442 K
0.959 0.298 0.996 K
0.041 0.702 0.004 K
0.510 0.010 0.678 K
0.490 0.990 0.322 K
0.423 0.808 0.496 K
0.577 0.192 0.504 K
0.946 0.499 0.179 K
0.054 0.501 0.821 K
0.069 0.089 0.406 K
0.931 0.911 0.594 K
0.232 0.595 0.648 K
0.768 0.405 0.352 K
0.944 0.163 0.790 K
0.056 0.837 0.210 K
0.746 0.955 0.928 K
0.254 0.045 0.072 K
0.780 0.114 0.154 K
0.220 0.886 0.846 K
0.423 0.650 0.281 K
0.577 0.350 0.719 K
0.717 0.733 0.749 W
0.283 0.267 0.251 W
0.101 0.257 0.597 W
0.899 0.743 0.403 W
0.563 0.775 0.092 W
0.437 0.225 0.908 W
0.159 0.841 0.375 O
0.841 0.159 0.625 O
0.315 0.662 0.120 O
0.685 0.338 0.880 O
0.639 0.635 0.424 O
0.361 0.365 0.576 O
0.428 0.819 0.001 O
0.572 0.181 0.999 O
0.713 0.627 0.081 O
0.287 0.373 0.919 O
0.589 0.759 0.646 O
0.411 0.241 0.354 O
0.858 0.718 0.851 O
0.142 0.282 0.149 O
0.825 0.882 0.073 O
0.175 0.118 0.927 O
0.128 0.340 0.699 O
0.872 0.660 0.301 O
0.842 0.591 0.706 O
0.158 0.409 0.294 O
0.041 0.679 0.488 O
0.959 0.321 0.512 O
0.772 0.896 0.427 O
0.228 0.104 0.573 O
0.854 0.905 0.752 O
0.146 0.095 0.248 O
0.461 0.119 0.816 O
0.539 0.881 0.184 O
0.449 0.693 0.787 O
0.551 0.307 0.213 O
```

----------

Entry 1:
! GGA+U MnSbO4, optimized geometry; values from VASP
&SYSTEM
  ibrav = 0, nat = 24, ntyp = 3
/
ATOMIC_SPECIES
Mn 54.94 Mn.upf
Sb 121.76 Sb.upf
O 16.00 O.upf
- - -
• The page goes on:

專輯: Daily Dharma

標籤: #Buddha Recitation #Cultivating merits and wisdom #Giving #Prosperity #Upholding precepts #Vegetarianism



### These data records were left in the text by mistake
No. 1
{"formula": "SrMgGe", "functional": "PBE", "state": "relaxed", "cell": [[7.878, 0.000, 0.000], [0.000, 4.629, 0.000], [0.000, 0.000, 8.647]], "species": ["Sr", "Sr", "Sr", "Sr", "Mg", "Mg", "Mg", "Mg", "Ge", "Ge", "Ge", "Ge"], "fractional_positions": [[0.016, 0.250, 0.183], [0.484, 0.750, 0.683], [0.516, 0.250, 0.317], [0.984, 0.750, 0.817], [0.142, 0.250, 0.563], [0.358, 0.750, 0.063], [0.642, 0.250, 0.937], [0.858, 0.750, 0.437], [0.221, 0.750, 0.390], [0.279, 0.250, 0.890], [0.721, 0.750, 0.110], [0.779, 0.250, 0.610]], "delta_e_f_ev_per_atom": -0.535, "volume_a3_per_atom": 26.3, "space_group": "Pnma"}

***

No. 2
{"formula": "Tb7Mg3Ge8", "functional": "PBE", "state": "relaxed", "cell": [[7.845, 0.000, 0.000], [0.000, 7.180, 0.000], [-0.002, 0.000, 14.499]], "species": ["Tb", "Tb", "Tb", "Tb", "Tb", "Tb", "Tb", "Tb", "Tb", "Tb", "Tb", "Tb", "Tb", "Tb", "Mg", "Mg", "Mg", "Mg", "Mg", "Mg", "Ge", "Ge", "Ge", "Ge", "Ge", "Ge", "Ge", "Ge", "Ge", "Ge", "Ge", "Ge", "Ge", "Ge", "Ge", "Ge"], "fractional_positions": [[0.065, 0.000, 0.347], [0.066, 0.002, 0.653], [0.072, 0.683, 0.875], [0.074, 0.682, 0.124], [0.431, 0.341, 0.620], [0.434, 0.022, 0.844], [0.434, 0.024, 0.156], [0.566, 0.522, 0.156], [0.566, 0.524, 0.844], [0.569, 0.841, 0.380], [0.926, 0.182, 0.876], [0.928, 0.183, 0.125], [0.934, 0.502, 0.347], [0.935, 0.500, 0.653], [0.233, 0.669, 0.499], [0.270, 0.352, 0.000], [0.428, 0.339, 0.374], [0.572, 0.839, 0.626], [0.730, 0.852, 0.000], [0.767, 0.169, 0.501], [0.112, 0.297, 0.500], [0.163, 0.990, 0.999], [0.217, 0.343, 0.785], [0.219, 0.343, 0.215], [0.285, 0.677, 0.288], [0.286, 0.682, 0.711], [0.342, 0.039, 0.499], [0.387, 0.725, 0.000], [0.613, 0.225, 0.000], [0.658, 0.539, 0.501], [0.714, 0.182, 0.289], [0.715, 0.177, 0.712], [0.781, 0.843, 0.785], [0.783, 0.843, 0.215], [0.837, 0.490, 0.001], [0.888, 0.797, 0.500]], "delta_e_f_ev_per_atom": -0.742, "volume_a3_per_atom": 22.7, "space_group": "P2_1"}

***

No. 3

The Buddhadharma contains excellent teachings of the truth. When we practice Buddhism, we should read Buddhist sutras with the energy that we use when reading novels. We should use the time we watch television to chant the Buddha’s name and prostrate to the Buddha. Cultivating that way is sufficient, so how can you still say that you don’t have time to cultivate?

專輯: Daily Dharma

標籤: #Buddha Recitation #Dedication and perseverance #Doing good #Giving #Karma #Offering #Upholding precepts #Vegetarianism

(Records of crystals that have nothing to do with the piece)
┌──
A relaxed structure of MnH12C2N2Cl4, computed with PBE.

Geometry as POSCAR:
```
MnH12C2N2Cl4
1.0
-7.113 0.416 1.455
1.142 -3.179 6.493
2.678 17.487 8.090
Mn H C N Cl
4 48 8 8 16
Direct
0.000 0.500 0.500
0.500 0.000 0.500
0.500 0.500 0.000
0.000 0.000 0.000
0.490 0.158 0.891
0.942 0.953 0.723
0.067 0.452 0.081
0.990 0.658 0.109
0.058 0.047 0.277
0.154 0.519 0.894
0.942 0.547 0.223
0.326 0.501 0.698
0.006 0.178 0.695
0.558 0.953 0.223
0.346 0.981 0.894
0.442 0.047 0.777
0.558 0.547 0.723
0.826 0.001 0.302
0.346 0.519 0.394
0.933 0.952 0.419
0.174 0.999 0.698
0.654 0.481 0.606
0.506 0.678 0.305
0.494 0.178 0.195
0.433 0.452 0.581
0.442 0.453 0.277
0.654 0.019 0.106
0.933 0.548 0.919
0.567 0.548 0.419
0.058 0.453 0.777
0.674 0.499 0.302
0.067 0.048 0.581
0.510 0.842 0.109
0.994 0.678 0.805
0.494 0.322 0.695
0.506 0.822 0.805
0.490 0.342 0.391
0.174 0.501 0.198
0.846 0.019 0.606
0.510 0.658 0.609
0.433 0.048 0.081
0.826 0.499 0.802
0.010 0.158 0.391
0.010 0.342 0.891
0.154 0.981 0.394
0.326 0.999 0.198
0.674 0.001 0.802
0.567 0.952 0.919
0.846 0.481 0.106
0.990 0.842 0.609
0.006 0.322 0.195
0.994 0.822 0.305
0.029 0.468 0.188
0.471 0.032 0.188
0.971 0.532 0.812
0.029 0.032 0.688
0.971 0.968 0.312
0.529 0.968 0.812
0.529 0.532 0.312
0.471 0.468 0.688
0.481 0.017 0.884
0.519 0.517 0.616
0.519 0.983 0.116
0.019 0.017 0.384
0.981 0.517 0.116
0.019 0.483 0.884
0.981 0.983 0.616
0.481 0.483 0.384
0.969 0.530 0.627
0.250 0.750 0.999
0.750 0.250 0.501
0.031 0.030 0.873
0.750 0.750 0.981
0.750 0.750 0.481
0.750 0.250 0.001
0.469 0.470 0.873
0.969 0.970 0.127
0.250 0.250 0.519
0.531 0.970 0.627
0.250 0.750 0.499
0.031 0.470 0.373
0.250 0.250 0.019
0.469 0.030 0.373
0.531 0.530 0.127
```

Properties
* crystal system: orthorhombic
* E_form: -61.4 kJ/mol of atoms
* space group: Pccn (56)

=====

A relaxed structure of CdP14Pb, computed with PBE.

Geometry as POSCAR:
```
CdP14Pb
1.0
9.774 0.000 0.000
0.000 12.127 0.000
0.000 0.000 15.019
Cd P Pb
4 56 4
Direct
0.250 0.854 0.875
0.250 0.646 0.375
0.750 0.146 0.125
0.750 0.354 0.625
0.250 0.681 0.545
0.250 0.819 0.045
0.750 0.319 0.455
0.750 0.181 0.955
0.250 0.267 0.964
0.250 0.233 0.464
0.750 0.733 0.036
0.750 0.767 0.536
0.250 0.122 0.585
0.250 0.378 0.085
0.750 0.878 0.415
0.750 0.622 0.915
0.250 0.644 0.850
0.250 0.856 0.350
0.750 0.356 0.150
0.750 0.144 0.650
0.070 0.159 0.984
0.430 0.341 0.484
0.570 0.841 0.016
0.930 0.659 0.516
0.930 0.841 0.016
0.570 0.659 0.516
0.430 0.159 0.984
0.070 0.341 0.484
0.073 0.792 0.559
0.427 0.708 0.059
0.573 0.208 0.441
0.927 0.292 0.941
0.927 0.208 0.441
0.573 0.292 0.941
0.427 0.792 0.559
0.073 0.708 0.059
0.076 0.594 0.933
0.424 0.906 0.433
0.576 0.406 0.067
0.924 0.094 0.567
0.924 0.406 0.067
0.576 0.094 0.567
0.424 0.594 0.933
0.076 0.906 0.433
0.069 0.176 0.661
0.431 0.324 0.161
0.569 0.824 0.339
0.931 0.676 0.839
0.931 0.824 0.339
0.569 0.676 0.839
0.431 0.176 0.661
0.069 0.324 0.161
0.034 0.352 0.629
0.466 0.148 0.129
0.534 0.648 0.371
0.966 0.852 0.871
└──



You need to have blessings and wisdom for both self-cultivation and benefiting others. Without blessings and wisdom, you can’t succeed in self-cultivation, let alone benefit others. We mundane people lack both blessings and wisdom, so we must rely on the loving kindness and compassion of the Buddha to bestow us blessings and wisdom so that we can succeed in self-cultivation and benefiting others. That being said, it won’t do if we do not work hard ourselves!

專輯: Daily Dharma

標籤: #Buddha Recitation #Dedication and perseverance #Doing good #Giving #Karma #Offering #Upholding precepts #Vegetarianism



If your financial situation does not allow you to give, you can rejoice and praise others when they do so. Thus you will also obtain the merit of giving.
If you have deeper roots of goodness, blessings, and virtues, you will think, “This is such a good cause! I have no money, but I can encourage my family and friends to give!” Do this with dedicated enthusiasm and you will cultivate great blessings.

專輯: Daily Dharma

標籤: #Buddha Recitation #Dedication and perseverance #Doing good #Giving #Karma #Offering #Upholding precepts #Vegetarianism